### Job
Write out the calculation results further below word for word, please.

### Material
+++
The following is a DFT calculation (ωB97M-V/def2-TZVPD) of a cluster of 7 separate species, C47H44N4O13PS2 in total.

```
111
Properties=species:S:1:pos:R:3
N 7.28452 -0.65351 1.89171
P 6.11011 0.73465 1.94714
O 4.86024 0.18439 3.01406
C 5.55467 0.99163 0.14976
C 5.47690 -0.32289 -0.88216
N 4.36656 -0.24501 -1.93537
C 3.57117 0.99264 -1.48174
C 4.22309 1.86057 -0.23610
C 3.26161 2.50988 0.91026
C 1.65000 2.41885 0.63378
C 0.87029 1.24728 1.51864
S -0.47007 0.53658 0.45410
C -0.17658 -1.18997 -0.14610
S -1.55779 -1.95070 -0.87842
N 1.06356 -2.02964 -0.14245
C 2.43116 -1.93156 0.47461
C 3.41548 -3.21630 0.18047
N 2.54964 -4.08575 -0.70297
C 1.19243 -3.37252 -0.89273
H 6.94983 -1.39420 1.22537
H 7.16472 -1.11696 2.84287
H 3.96463 0.09818 2.57572
H 6.44147 1.65800 -0.29335
H 6.46380 -0.19449 -1.53192
H 5.41918 -1.35975 -0.34708
H 3.81091 -1.12830 -2.06127
H 4.76281 -0.11996 -2.90880
H 2.49270 0.54860 -1.33285
H 3.56915 1.63419 -2.48529
H 4.65997 2.82151 -0.79552
H 3.44642 2.13434 2.00478
H 3.51953 3.67681 0.93337
H 1.33395 2.29999 -0.48470
H 1.19585 3.46708 0.98087
H 1.58842 0.49454 2.04672
H 0.33339 1.83946 2.40684
H 2.80343 -1.03628 1.11971
H 4.52782 -3.38263 0.57826
H 0.43094 -3.93294 -1.57644
C 4.89950 -7.20397 0.89753
C 4.48045 -8.38956 1.35041
C 4.69311 -8.79186 2.75474
O 4.31167 -9.87763 3.16962
C 5.38493 -7.83316 3.63909
C 5.80397 -6.64757 3.18621
C 5.59131 -6.24526 1.78188
O 5.97275 -5.15949 1.36700
H 4.75218 -6.89365 -0.12973
H 3.97083 -9.10346 0.71446
H 5.53225 -8.14347 4.66635
H 6.31360 -5.93366 3.82216
C -4.98364 -1.97927 0.57781
C -5.10472 -2.52027 -0.63832
C -6.38838 -2.48832 -1.36662
O -6.50063 -2.98499 -2.47893
C -7.53194 -1.83432 -0.70002
C -7.41085 -1.29332 0.51612
C -6.12720 -1.32528 1.24442
O -6.01495 -0.82860 2.35672
H -4.04956 -1.99472 1.12599
H -4.27513 -3.00290 -1.14097
H -8.46602 -1.81887 -1.24820
H -8.24045 -0.81069 1.01876
C 1.15935 6.42907 -4.07127
C 1.58370 5.71472 -3.02439
C 1.98891 4.30310 -3.17387
O 2.37554 3.64793 -2.21587
C 1.90860 3.71230 -4.52454
C 1.48425 4.42665 -5.57142
C 1.07904 5.83827 -5.42194
O 0.69241 6.49344 -6.37995
H 0.85775 7.46528 -3.97880
H 1.64899 6.13388 -2.02747
H 2.21020 2.67608 -4.61701
H 1.41897 4.00749 -6.56835
C 5.57817 5.77600 4.03974
C 5.88347 6.99623 4.49157
C 6.06260 8.13289 3.56684
O 6.34401 9.24965 3.97935
C 5.88979 7.86937 2.12444
C 5.58448 6.64914 1.67262
C 5.40535 5.51248 2.59735
O 5.12394 4.39572 2.18484
H 5.44403 4.93129 4.70436
H 6.01284 7.20581 5.54663
H 6.02393 8.71408 1.45982
H 5.45512 6.43956 0.61755
C -6.55777 2.40468 -3.00906
C -6.68781 3.04180 -4.17675
C -6.70482 2.30310 -5.45473
O -6.82179 2.88560 -6.52408
C -6.57427 0.83379 -5.39227
C -6.44424 0.19667 -4.22458
C -6.42723 0.93538 -2.94660
O -6.31026 0.35288 -1.87724
H -6.54267 2.93142 -2.06271
H -6.78533 4.11902 -4.23921
H -6.58937 0.30705 -6.33862
H -6.34672 -0.88055 -4.16212
C -9.93473 -5.35520 2.83568
C -9.59576 -4.69952 1.72145
C -10.10291 -3.34037 1.44809
O -9.79478 -2.74029 0.42756
C -10.99732 -2.73360 2.45390
C -11.33628 -3.38928 3.56813
C -10.82914 -4.74843 3.84149
O -11.13727 -5.34851 4.86201
H -9.57220 -6.35289 3.05119
H -8.94012 -5.13066 0.97440
H -11.35985 -1.73591 2.23839
H -11.99192 -2.95814 4.31517
```

Output
Total charge = +1
HOMO = -11.17 eV
Kohn-Sham gap = 7.06 eV

Atomic partial charges in e from the Mulliken method, atoms 1 to 8: atom 1 (N): -0.689, atom 2 (P): 0.284, atom 3 (O): -0.590, atom 4 (C): -0.055, atom 5 (C): -0.246, atom 6 (N): 0.064, atom 7 (C): -0.280, atom 8 (C): 0.056



The following is a DFT calculation (ωB97M-V/def2-TZVPD) of a structure of composition C47H45O6P4Sr.

```
103
Properties=species:S:1:pos:R:3
Sr 1.02742 0.45444 0.78869
O 1.80193 -0.18149 4.02578
C 0.94983 -0.58973 3.23366
C -0.28252 -1.27919 3.81474
C -0.66084 -1.15517 5.14760
C -1.82249 -1.75736 5.60141
C -2.61094 -2.49976 4.72643
C -2.24194 -2.64029 3.39697
C -1.08300 -2.01941 2.93595
P -0.47298 -2.15458 1.21676
C 0.83211 -3.42451 1.31615
C 0.83175 -4.41764 2.29344
C 1.84733 -5.36210 2.32969
+++

### Done
The following is a DFT calculation (ωB97M-V/def2-TZVPD) of a cluster of 7 separate species, C47H44N4O13PS2 in total.

```
111
Properties=species:S:1:pos:R:3
N 7.28452 -0.65351 1.89171
P 6.11011 0.73465 1.94714
O 4.86024 0.18439 3.01406
C 5.55467 0.99163 0.14976
C 5.47690 -0.32289 -0.88216
N 4.36656 -0.24501 -1.93537
C 3.57117 0.99264 -1.48174
C 4.22309 1.86057 -0.23610
C 3.26161 2.50988 0.91026
C 1.65000 2.41885 0.63378
C 0.87029 1.24728 1.51864
S -0.47007 0.53658 0.45410
C -0.17658 -1.18997 -0.14610
S -1.55779 -1.95070 -0.87842
N 1.06356 -2.02964 -0.14245
C 2.43116 -1.93156 0.47461
C 3.41548 -3.21630 0.18047
N 2.54964 -4.08575 -0.70297
C 1.19243 -3.37252 -0.89273
H 6.94983 -1.39420 1.22537
H 7.16472 -1.11696 2.84287
H 3.96463 0.09818 2.57572
H 6.44147 1.65800 -0.29335
H 6.46380 -0.19449 -1.53192
H 5.41918 -1.35975 -0.34708
H 3.81091 -1.12830 -2.06127
H 4.76281 -0.11996 -2.90880
H 2.49270 0.54860 -1.33285
H 3.56915 1.63419 -2.48529
H 4.65997 2.82151 -0.79552
H 3.44642 2.13434 2.00478
H 3.51953 3.67681 0.93337
H 1.33395 2.29999 -0.48470
H 1.19585 3.46708 0.98087
H 1.58842 0.49454 2.04672
H 0.33339 1.83946 2.40684
H 2.80343 -1.03628 1.11971
H 4.52782 -3.38263 0.57826
H 0.43094 -3.93294 -1.57644
C 4.89950 -7.20397 0.89753
C 4.48045 -8.38956 1.35041
C 4.69311 -8.79186 2.75474
O 4.31167 -9.87763 3.16962
C 5.38493 -7.83316 3.63909
C 5.80397 -6.64757 3.18621
C 5.59131 -6.24526 1.78188
O 5.97275 -5.15949 1.36700
H 4.75218 -6.89365 -0.12973
H 3.97083 -9.10346 0.71446
H 5.53225 -8.14347 4.66635
H 6.31360 -5.93366 3.82216
C -4.98364 -1.97927 0.57781
C -5.10472 -2.52027 -0.63832
C -6.38838 -2.48832 -1.36662
O -6.50063 -2.98499 -2.47893
C -7.53194 -1.83432 -0.70002
C -7.41085 -1.29332 0.51612
C -6.12720 -1.32528 1.24442
O -6.01495 -0.82860 2.35672
H -4.04956 -1.99472 1.12599
H -4.27513 -3.00290 -1.14097
H -8.46602 -1.81887 -1.24820
H -8.24045 -0.81069 1.01876
C 1.15935 6.42907 -4.07127
C 1.58370 5.71472 -3.02439
C 1.98891 4.30310 -3.17387
O 2.37554 3.64793 -2.21587
C 1.90860 3.71230 -4.52454
C 1.48425 4.42665 -5.57142
C 1.07904 5.83827 -5.42194
O 0.69241 6.49344 -6.37995
H 0.85775 7.46528 -3.97880
H 1.64899 6.13388 -2.02747
H 2.21020 2.67608 -4.61701
H 1.41897 4.00749 -6.56835
C 5.57817 5.77600 4.03974
C 5.88347 6.99623 4.49157
C 6.06260 8.13289 3.56684
O 6.34401 9.24965 3.97935
C 5.88979 7.86937 2.12444
C 5.58448 6.64914 1.67262
C 5.40535 5.51248 2.59735
O 5.12394 4.39572 2.18484
H 5.44403 4.93129 4.70436
H 6.01284 7.20581 5.54663
H 6.02393 8.71408 1.45982
H 5.45512 6.43956 0.61755
C -6.55777 2.40468 -3.00906
C -6.68781 3.04180 -4.17675
C -6.70482 2.30310 -5.45473
O -6.82179 2.88560 -6.52408
C -6.57427 0.83379 -5.39227
C -6.44424 0.19667 -4.22458
C -6.42723 0.93538 -2.94660
O -6.31026 0.35288 -1.87724
H -6.54267 2.93142 -2.06271
H -6.78533 4.11902 -4.23921
H -6.58937 0.30705 -6.33862
H -6.34672 -0.88055 -4.16212
C -9.93473 -5.35520 2.83568
C -9.59576 -4.69952 1.72145
C -10.10291 -3.34037 1.44809
O -9.79478 -2.74029 0.42756
C -10.99732 -2.73360 2.45390
C -11.33628 -3.38928 3.56813
C -10.82914 -4.74843 3.84149
O -11.13727 -5.34851 4.86201
H -9.57220 -6.35289 3.05119
H -8.94012 -5.13066 0.97440
H -11.35985 -1.73591 2.23839
H -11.99192 -2.95814 4.31517
```

Output
Total charge = +1
HOMO = -11.17 eV
Kohn-Sham gap = 7.06 eV

Atomic partial charges in e from the Mulliken method, atoms 1 to 8: atom 1 (N): -0.689, atom 2 (P): 0.284, atom 3 (O): -0.590, atom 4 (C): -0.055, atom 5 (C): -0.246, atom 6 (N): 0.064, atom 7 (C): -0.280, atom 8 (C): 0.056



The following is a DFT calculation (ωB97M-V/def2-TZVPD) of a structure of composition C47H45O6P4Sr.

```
103
Properties=species:S:1:pos:R:3
Sr 1.02742 0.45444 0.78869
O 1.80193 -0.18149 4.02578
C 0.94983 -0.58973 3.23366
C -0.28252 -1.27919 3.81474
C -0.66084 -1.15517 5.14760
C -1.82249 -1.75736 5.60141
C -2.61094 -2.49976 4.72643
C -2.24194 -2.64029 3.39697
C -1.08300 -2.01941 2.93595
P -0.47298 -2.15458 1.21676
C 0.83211 -3.42451 1.31615
C 0.83175 -4.41764 2.29344
C 1.84733 -5.36210 2.32969